• Exercise:
Could you search the listing underneath for the word "lowest" and print each line that has it?

• Entries:
********
# NaTi2Rh | the Alexandria database | GGA-PBE | optimized geometry
data_NaTi2Rh
_chemical_formula_sum 'Na4 Ti8 Rh4'
_space_group_name_H-M_alt 'I -4 2 d'
_space_group_IT_number 122
_space_group_name_Hall 'I -4 2bw'
_cell_length_a 3.9345
_cell_length_b 3.9345
_cell_length_c 18.5339
_cell_angle_alpha 90.00
_cell_angle_beta 90.00
_cell_angle_gamma 90.00
loop_
_atom_site_label
_atom_site_fract_x
_atom_site_fract_y
_atom_site_fract_z
Na1 0.0000 0.0000 0.0000
Ti1 0.2279 0.2500 0.6250
Rh1 0.0000 0.0000 0.5000
# * energy relative to the lowest polymorph listed for this composition: 1.69 eV per formula unit
# * crystal system: tetragonal
# * energy of formation from the pure elements: 0.54 eV per atom



# CdAgI | the Alexandria database | GGA-PBE | optimized geometry
data_CdAgI
_chemical_formula_sum 'Cd2 Ag2 I2'
_space_group_name_H-M_alt 'P 1'
_space_group_IT_number 1
_space_group_name_Hall 'P 1'
_cell_length_a 5.0565
_cell_length_b 5.9819
_cell_length_c 7.2516
_cell_angle_alpha 111.06
_cell_angle_beta 106.73
_cell_angle_gamma 98.50
loop_
_atom_site_label
_atom_site_fract_x
_atom_site_fract_y
_atom_site_fract_z
Cd1 0.0000 0.0000 0.0000
Cd2 0.3894 0.4084 0.9970
Ag1 0.3674 0.7395 0.8104
Ag2 0.8336 0.4833 0.8095
I1 0.4769 0.9872 0.5613
I2 0.8634 0.3737 0.3333
# * E_form (uncorrected): -87 meV per atom
# * energy relative to the lowest polymorph listed for this composition: 0.20 eV per formula unit
# * crystal system: triclinic



# K2AsCl | the Alexandria database | GGA-PBE | optimized geometry
data_K2AsCl
_chemical_formula_sum 'K8 As4 Cl4'
_space_group_name_H-M_alt 'F -4 3 m'
_space_group_IT_number 216
_space_group_name_Hall 'F -4 2 3'
_cell_length_a 8.0313
_cell_length_b 8.0313
_cell_length_c 8.0313
_cell_angle_alpha 90.00
_cell_angle_beta 90.00
_cell_angle_gamma 90.00
loop_
_atom_site_label
_atom_site_fract_x
_atom_site_fract_y
_atom_site_fract_z
K1 0.0000 0.0000 0.0000
K2 0.2500 0.2500 0.2500
As1 0.2500 0.2500 0.7500
Cl1 0.0000 0.0000 0.5000
# * E_form (uncorrected): -380 meV per atom
# * energy relative to the lowest polymorph listed for this composition: 2.11 eV per formula unit
# * crystal system: cubic



# Zn3GeCl | the Alexandria database | GGA-PBE | optimized geometry
data_Zn3GeCl
_chemical_formula_sum 'Zn3 Ge1 Cl1'
_space_group_name_H-M_alt 'P m -3 m'
_space_group_IT_number 221
_space_group_name_Hall '-P 4 2 3'
_cell_length_a 4.9232
_cell_length_b 4.9232
_cell_length_c 4.9232
_cell_angle_alpha 90.00
_cell_angle_beta 90.00
_cell_angle_gamma 90.00
loop_
_atom_site_label
_atom_site_fract_x
_atom_site_fract_y
_atom_site_fract_z
Zn1 0.0000 0.0000 0.5000
Ge1 0.0000 0.0000 0.0000
Cl1 0.5000 0.5000 0.5000
# * E_form (uncorrected): 24 meV per atom
# * energy relative to the lowest polymorph listed for this composition: 0.00 eV per formula unit
# * crystal system: cubic



# Sr13Rh2 | the Alexandria database | GGA-PBE | optimized geometry
data_Sr13Rh2
_chemical_formula_sum 'Sr13 Rh2'
_space_group_name_H-M_alt 'P -1'
_space_group_IT_number 2
_space_group_name_Hall '-P 1'
_cell_length_a 7.3886
_cell_length_b 9.5440
_cell_length_c 11.2814
_cell_angle_alpha 65.10
_cell_angle_beta 83.78
_cell_angle_gamma 82.52
loop_
_atom_site_label
_atom_site_fract_x
_atom_site_fract_y
_atom_site_fract_z
Sr1 0.0000 0.0000 0.0000
Sr2 0.0811 0.8527 0.6938
Sr3 0.1437 0.6982 0.3820
Sr4 0.2311 0.5374 0.0781
Sr5 0.3048 0.3780 0.7688
Sr6 0.3785 0.2276 0.4688
Sr7 0.4699 0.0710 0.1571
Rh1 0.1927 0.1155 0.7310
# * crystal system: triclinic
# * energy of formation from the pure elements: -0.15 eV per atom



# LiZn2Tc | the Alexandria database | GGA-PBE | optimized geometry
data_LiZn2Tc
_chemical_formula_sum 'Li1 Zn2 Tc1'
_space_group_name_H-M_alt 'P 4/m m m'
_space_group_IT_number 123
_space_group_name_Hall '-P 4 2'
_cell_length_a 4.5261
_cell_length_b 4.5261
_cell_length_c 2.7538
_cell_angle_alpha 90.00
_cell_angle_beta 90.00
_cell_angle_gamma 90.00
loop_
_atom_site_label
_atom_site_fract_x
_atom_site_fract_y
_atom_site_fract_z
Li1 0.0000 0.0000 0.0000
********

• Here it is:
# * energy relative to the lowest polymorph listed for this composition: 1.69 eV per formula unit
# * energy relative to the lowest polymorph listed for this composition: 0.20 eV per formula unit
# * energy relative to the lowest polymorph listed for this composition: 2.11 eV per formula unit
# * energy relative to the lowest polymorph listed for this composition: 0.00 eV per formula unit